Job >
Say how many lines of the contents further below hold the word "eV", as a bare number.

Entries >
<<<
# 1
C3H8N4O2S2 | ωB97M-V/def2-TZVPD

- 2S+1: 1
- HOMO level: -8.636 eV
- Total energy: -1284.8476 Eh
- Kohn-Sham gap: 8.37 eV
- LUMO level: -0.3 eV

Element x y z (Å)
C (2.32652, -1.40221, 0.02308)
C (-1.83833, 1.98503, 0.32657)
C (-2.43003, 0.84786, -0.50023)
H (4.65729, -2.49839, -2.22192)
H (0.03521, -0.19397, 1.44961)
H (-1.84234, 3.39973, -1.00222)
H (-2.19109, 1.90628, 1.35974)
H (-0.73991, 1.90615, 0.34653)
H (-2.12364, 0.92502, -1.54054)
H (-3.52136, 0.91178, -0.47311)
H (-0.68994, -0.73782, -0.10212)
N (3.16351, -1.45875, -0.91189)
N (1.85469, -2.40977, 0.91202)
N (1.03854, -1.88521, 1.69765)
N (0.98817, -0.54512, 1.51373)
O (1.67955, -0.23324, 0.33983)
O (-2.26090, 3.24721, -0.14612)
S (3.90732, -2.96606, -1.21124)
S (-2.01324, -0.79849, 0.14064)

Force components x, y, z for each atom (eV/Å):
C 0.3 -0.1 -0.3
C 0.0 -0.2 0.2
C -0.1 0.1 0.1
H -0.1 0.0 0.1
H -0.1 0.0 0.2
H -0.1 0.1 0.1
H 0.0 0.0 -0.1
H -0.1 0.0 -0.1
H 0.0 0.0 -0.1
H 0.1 0.0 0.0
H -0.4 -0.1 -0.4
N -0.2 -0.2 0.3
N -0.1 0.1 0.0
N 0.2 0.2 -0.1
N 0.2 -0.1 0.5
O 0.0 0.1 -0.1
O 0.2 0.0 -0.2
S 0.0 0.2 -0.1
S 0.1 0.1 0.0

---

# 2
C33H53HgN2O2P2S | ωB97M-V/def2-TZVPD

- 2S+1: 1
- HOMO level (alpha / beta): -8.444 / -8.443 eV
- Total energy: -2783.1922 Eh
- Kohn-Sham gap (alpha / beta): 4.79 / 4.79 eV
- Net charge: +1
- LUMO level (alpha / beta): -3.7 / -3.6 eV

Element x y z (Å)
C (-1.55099, -1.35606, -1.87335)
C (0.61712, -2.07932, -1.45901)
C (-1.77481, -2.32385, -2.85566)
C (0.39115, -3.20860, -2.31528)
C (-0.81034, -3.32830, -2.99910)
H (-2.68944, -2.25226, -3.44367)
H (1.19908, -3.92977, -2.42649)
H (-1.02410, -4.17154, -3.65718)
N (-0.48069, -1.35252, -1.09179)
P (-2.62857, 0.17568, 0.14338)
P (2.50710, -0.41111, 0.00022)
C (-2.54018, -0.21718, -1.63324)
H (-2.16160, 0.67011, -2.16056)
H (-3.53160, -0.44944, -2.04260)
C (0.23606, 2.38120, 2.19398)
O (1.28956, 2.72075, 2.51347)
C (1.91100, -1.64443, -1.08819)
H (2.72139, -2.29781, -1.44277)
C (3.90795, 0.30922, -1.14441)
C (3.32190, -1.10571, 1.64205)
C (-3.36033, 1.89767, 0.25264)
C (-3.69190, -1.26157, 0.73263)
C (3.91044, 1.81894, -0.86330)
H (4.28164, 2.03871, 0.14434)
H (4.57018, 2.31053, -1.59444)
H (2.91179, 2.25065, -0.95556)
C (5.30739, -0.25717, -0.87280)
H (5.67462, -0.03538, 0.13422)
H (5.36318, -1.33780, -1.05887)
H (6.00409, 0.22769, -1.57608)
C (3.61832, 0.05014, -2.63738)
H (4.11371, 0.82697, -3.24268)
H (3.97781, -0.93266, -2.97124)
H (2.55718, 0.09404, -2.88665)
C (4.09897, 0.04237, 2.31342)
H (3.41151, 0.87027, 2.54827)
H (4.52432, -0.33367, 3.25818)
H (4.92524, 0.43789, 1.71185)
C (2.25687, -1.56777, 2.64569)
H (1.59956, -0.74842, 2.96223)
H (1.63835, -2.37962, 2.24672)
H (2.77018, -1.95483, 3.54270)
C (4.18295, -2.32729, 1.32430)
H (5.02905, -2.11489, 0.66492)
H (4.59146, -2.71792, 2.26968)
H (3.55896, -3.11083, 0.87354)
C (-4.34101, -0.86151, 2.06058)
H (-4.90926, -1.72730, 2.43141)
H (-3.58213, -0.62011, 2.81545)
H (-5.04339, -0.02478, 1.95606)
C (-2.78081, -2.48207, 0.97840)
H (-2.28986, -2.82223, 0.06048)
H (-2.00554, -2.25485, 1.72121)
H (-3.40372, -3.30239, 1.36793)
C (-4.77445, -1.66622, -0.27983)
H (-5.44355, -2.38421, 0.21764)
H (-5.37840, -0.81745, -0.62500)
H (-4.35203, -2.17897, -1.15197)
C (-2.59430, 2.86967, -0.66802)
H (-2.80484, 2.68919, -1.73018)
H (-2.91588, 3.89866, -0.43744)
H (-1.50809, 2.81092, -0.52326)
C (-3.20003, 2.38045, 1.70909)
H (-2.13717, 2.44125, 1.99507)
H (-3.63796, 3.38741, 1.79201)
H (-3.71199, 1.71961, 2.42020)
C (-4.83694, 1.89117, -0.16495)
H (-4.96466, 1.56646, -1.20779)
H (-5.46823, 1.26635, 0.47935)
H (-5.21802, 2.92232, -0.09336)
Hg (-0.35111, 0.16101, 1.06512)
N (0.71425, 1.12327, -0.92160)
C (0.84292, 1.20132, -2.10355)
C (0.87247, 2.00593, -3.28234)
C (0.65013, 3.38001, -3.08572)
C (1.15827, 1.51245, -4.56881)
C (0.70378, 4.25790, -4.16373)
H (0.44213, 3.76138, -2.08124)
C (1.22303, 2.40034, -5.64233)
H (1.31666, 0.44698, -4.72506)
C (0.96106, 3.75631, -5.44005)
H (0.54502, 5.32606, -4.00410)
H (1.46565, 2.04080, -6.64273)
>>>

Written answer >
7